Activity:
Please work out how many lines underneath have the word "Na2Si2Ge" in them; a number is enough.
Input:
'''
# 1
{"formula": "Hg3IrS", "functional": "GGA-PBEsol", "state": "optimized geometry", "formation_energy_uncorrected_mev_per_atom": 815, "vol_a3_per_atom": 26.88, "lattice_angstrom": [[5.1221, 0.0000, 0.0000], [0.0000, 5.1221, 0.0000], [0.0000, 0.0000, 5.1221]], "species": ["Hg", "S", "Hg", "Ir", "Hg"], "frac_coords": [[0.0000, 0.5000, 0.0000], [0.5000, 0.5000, 0.5000], [0.5000, 0.0000, 0.0000], [0.0000, 0.0000, 0.0000], [0.0000, 0.0000, 0.5000]]}

# 2
{"formula": "LiTa2Al", "functional": "GGA-PBEsol", "state": "optimized geometry", "total_energy_ev_per_cell": -30.43, "vol_a3_per_atom": 15.96, "lattice_angstrom": [[3.8832, 0.0000, 0.0000], [0.0000, 3.8832, 0.0000], [-1.9416, -1.9416, 4.2335]], "species": ["Ta", "Al", "Li", "Ta"], "frac_coords": [[0.7500, 0.2500, 0.5000], [0.5000, 0.5000, 0.0000], [0.2500, 0.7500, 0.5000], [0.0000, 0.0000, 0.0000]]}

# 3
{"formula": "Na2Si2Ge", "functional": "GGA-PBEsol", "state": "optimized geometry", "formation_energy_uncorrected_mev_per_atom": 88, "vol_a3_per_atom": 20.60, "lattice_angstrom": [[4.8679, 0.0000, 0.0000], [0.0000, 6.5054, 0.0000], [0.0000, 0.0000, 6.5054]], "species": ["Si", "Si", "Na", "Na", "Ge", "Na", "Si", "Na", "Ge", "Si"], "frac_coords": [[0.0000, 0.3730, 0.8730], [0.0000, 0.6270, 0.1270], [0.5000, 0.3226, 0.1774], [0.5000, 0.1774, 0.6774], [0.0000, 0.5000, 0.5000], [0.5000, 0.6774, 0.8226], [0.0000, 0.1270, 0.3730], [0.5000, 0.8226, 0.3226], [0.0000, 0.0000, 0.0000], [0.0000, 0.8730, 0.6270]]}

# 4
{"formula": "Ba2Tl7Au", "functional": "GGA-PBEsol", "state": "optimized geometry", "total_energy_ev_per_cell": -119.44, "vol_a3_per_atom": 29.33, "lattice_angstrom": [[-4.2656, -2.8892, 0.2251], [5.8314, -8.6465, -0.4722], [1.3400, -0.2839, 21.7448]], "species": ["Tl", "Tl", "Tl", "Tl", "Ba", "Au", "Tl", "Tl", "Tl", "Ba", "Tl", "Tl", "Tl", "Tl", "Ba", "Tl", "Tl", "Ba", "Tl", "Tl", "Tl", "Ba", "Tl", "Tl", "Tl", "Ba", "Au", "Tl", "Tl", "Tl", "Tl", "Au", "Tl", "Tl", "Au", "Ba", "Ba", "Tl", "Tl", "Tl"], "frac_coords": [[0.7500, 0.3439, 0.2039], [0.2500, 0.8439, 0.2961], [0.7500, 0.1561, 0.7039], [0.7500, 0.2636, 0.3524], [0.2500, 0.4990, 0.2891], [0.7500, 0.7604, 0.8260], [0.7500, 0.5984, 0.0502], [0.2500, 0.0364, 0.0899], [0.7500, 0.9725, 0.3966], [0.7500, 0.2501, 0.0416], [0.7500, 0.5275, 0.8966], [0.2500, 0.6561, 0.7961], [0.2500, 0.7636, 0.1476], [0.7500, 0.9016, 0.5502], [0.2500, 0.7501, 0.4584], [0.7500, 0.6047, 0.5524], [0.7500, 0.8586, 0.7002], [0.7500, 0.5010, 0.7109], [0.7500, 0.8953, 0.0524], [0.2500, 0.4636, 0.5899], [0.2500, 0.0984, 0.4498], [0.7500, 0.2499, 0.5416], [0.2500, 0.4725, 0.1034], [0.2500, 0.3586, 0.7998], [0.2500, 0.0275, 0.6034], [0.2500, 0.0010, 0.7891], [0.2500, 0.2604, 0.6740], [0.7500, 0.5364, 0.4101], [0.2500, 0.1414, 0.2998], [0.7500, 0.9636, 0.9101], [0.7500, 0.2364, 0.8524], [0.7500, 0.7396, 0.3260], [0.2500, 0.1047, 0.9476], [0.7500, 0.6414, 0.2002], [0.2500, 0.2396, 0.1740], [0.7500, 0.9990, 0.2109], [0.2500, 0.7499, 0.9584], [0.2500, 0.3953, 0.4476], [0.2500, 0.7364, 0.6476], [0.2500, 0.4016, 0.9498]]}

=====

The following is a PBE calculation of a geometry-optimized DyYCd2Au4 structure, from OQMD.

The structure in extended XYZ format:
```
8
Lattice="-0.991 3.828 2.950 -3.391 1.594 -3.208 -4.869 -3.779 3.268" Properties=species:S:1:pos:R:3 pbc="T T T"
Cd -2.434 -1.889 1.634
Cd -2.191 2.711 -0.129
Au -2.912 -0.147 -0.788
Au -5.348 -2.038 0.848
Au -4.148 -0.921 3.926
Au -1.712 0.970 2.291
Dy 0.000 0.000 0.000
Y -4.625 0.822 1.505
```

Properties
Formation energy (eV per atom): -0.680
'''
Written answer:
1